The Class of 2024 -- Sharing, venting, discussing! MT

As we are all at the worst part now… the W-A-I-T-I-N-G… and anxious for any information, a quick question about portal changes. I know that Penn State has been updating portals with rejections within a few days after auditions if candidates are out of the running. Has anyone had that same experience with any other schools?

@ SingerDancerMom, has penn state sent out rejections from Chicago unified? shenandoah would send out rejections within 2 weeks.

@Jenny1993 Not sure about Chicago, but Penn State updated the portals for rejected students after NY Unifieds within a week. Curious if any other schools are also doing that.

@flippedout Some programs send out the perfunctory ‘thank you for auditioning’ note via email or Acceptd. If you get a personal communication from one of the auditors that is a more positive sign.

OTOH, nothing means anything until you get an offer. BAL!

@SingerDancerMom heard Missouri State sent out notifications last night after Chicago auditions.

Temple has started sending notifications (via portal) to Chicago Unifieds auditionees. BAL everyone!

Sorry for the repeat question… but this thread is so long now that I can’t find the previous answer. Someone had great language for when you are invited for an on-campus visit after acceptance, but want to wait for the whole picture before doing them. How do you suggest your child replies to that suggestion?

@BoogieMa I got an update in my Temple portal that just shows that I have been admitted to the BFA - I guess that means I am in?

I promised @MTMom2024 and @modanbsmt001 an update when we finally heard from Hartt. We never got an email to check the portal, but decided to check it randomly a few days ago and low and behold, there was a letter of acceptance! It was dated at least a week before and I’m pretty sure we had checked it since the date on the letter, so there’s definitely a lag between generation of the letter and when it appears in the portal. At any rate, my daughter is delighted and I am relieved beyond words. She’s also gotten an acceptance to Marymount Manhattan, so it was a good couple of weeks! We are so fortunate that she has options, regardless of whatever else happens. I hope you all finally heard and got good news!

@ElizaDoolittle Thank you for the update! Congratulations to your daughter! Two great programs to decide between. I am so happy for you guys. I just checked the portal again and still nothing…
I will let you know if and when we ever hear from them :smile:

Best of luck with everything!

@ ElizaDoolittle, congratulations to your daughter! Is your D Harrt acceptance from Chicago unified?

@ElizaDoolittle , wonderful! How nice to have two great options already!!!

@Jenny1993, my daughter auditioned in early December.

Thanks, everyone! Courtesy of @BoogieMa’s post, we checked the Temple portal and got more good news! Crossing my fingers that you all are having the same luck!

Congratulations!! My D got in Marymount for MT AS well !!

Between two parts of the text: quantum chemistry results:
1.
The following is a quantum chemistry calculation of a structure of composition C3H6N2O2 in a non-equilibrium geometry, from OMol25.

LUMO = 0.61 eV
DFT total energy = -377.825878 Eh
Spin multiplicity = 1
ΔE to the lowest compared entry with this formula, charge and spin = 350.4 kJ/mol
F_max = 0.02243 hartree/bohr
E_HOMO = -8.42 eV

XYZ file:
```
13
C3H6N2O2 the ωB97M-V functional and the def2-TZVPD basis
C 0.592 -0.523 0.260
N -0.071 -1.708 0.370
C 0.836 0.189 -0.984
C -0.752 0.953 -0.008
O 1.416 -0.186 1.250
N -1.914 0.550 -0.211
O 1.773 1.018 -1.017
H 2.031 0.459 0.815
H -0.293 -1.969 1.322
H -0.865 -1.795 -0.251
H -2.652 1.230 -0.016
H 0.290 -0.150 -1.872
H -0.392 1.931 0.341
```



2.
The following is a quantum chemistry calculation of a structure of composition C41H42AsMnN3O7S2 in a non-equilibrium geometry, from OMol25.

LUMO (alpha / beta) = 4.04 / 4.03 eV
DFT total energy = -6461.662469 Eh
Spin multiplicity = 6
ΔE to the lowest compared entry with this formula, charge and spin = 358.8 kJ/mol
F_max = 0.02808 hartree/bohr
E_HOMO (alpha / beta) = -2.16 / -2.30 eV
Charge = -2
⟨S²⟩ = 8.801

XYZ file:
```
97
C41H42AsMnN3O7S2 the ωB97M-V functional and the def2-TZVPD basis
Mn -1.689 -0.566 1.679
C -3.829 2.954 2.993
C -2.707 1.938 2.899
O -2.792 1.122 1.939
C -1.672 1.992 3.821
C -0.604 1.072 3.889
C 0.460 1.285 4.930
N -0.509 0.024 3.102
N 0.613 -0.775 3.304
C 0.499 -1.916 2.681
O -0.533 -2.270 1.995
C 1.630 -2.873 2.776
C 1.395 -4.203 2.435
C 2.423 -5.129 2.460
C 3.706 -4.734 2.814
C 3.947 -3.407 3.147
C 2.917 -2.481 3.135
H -4.687 2.565 2.449
H -3.514 3.891 2.527
H -4.105 3.146 4.029
H -1.692 2.778 4.565
H 0.366 2.273 5.382
H 1.441 1.167 4.474
H 0.371 0.525 5.708
H 0.392 -4.475 2.133
H 2.225 -6.161 2.199
H 4.516 -5.455 2.822
H 4.954 -3.094 3.402
H 3.090 -1.442 3.386
C -2.074 5.715 -3.154
C -2.110 4.224 -2.935
C -1.178 3.390 -3.538
C -1.219 2.010 -3.345
C -2.173 1.469 -2.508
C -3.099 2.284 -1.885
C -3.087 3.651 -2.124
S -2.631 -0.656 -1.182
O -1.531 -1.856 -1.638
O -3.839 -0.965 -1.950
N -2.900 -1.148 0.354
C -4.205 -1.672 0.692
C -4.295 -1.970 2.208
O -5.334 -2.511 2.607
O -3.299 -1.617 2.911
H -1.086 6.035 -3.489
H -2.316 6.246 -2.232
H -2.802 6.019 -3.913
H -0.403 3.814 -4.171
H -0.494 1.386 -3.858
H -3.831 1.851 -1.210
H -3.835 4.289 -1.662
H -4.428 -2.589 0.141
H -5.003 -0.957 0.457
C -0.939 4.641 0.650
S -0.490 2.894 0.397
C 0.943 2.877 1.498

If your student has been accepted to Temple’s BFA MT program, CONGRATS!

Have your student join the Temple University BFA MT 2024 Accepted Students Facebook page (students only, no parents ?), and spread the word to anyone else recently admitted to Temple’s BFA MT program—-the Facebook page is brand new and up and running for students to meet each other, meet the current students who are running the page, and have their questions answered by students living the program right now!

- - -
DFT (ωB97M-V/def2-TZVPD) results for a structure of composition C18H22BF6O18Pd in a non-equilibrium geometry.

The geometry in XYZ format:
```
66
Properties=species:S:1:pos:R:3:forces:R:3
Pd -24.6121 -10.4551 13.4275 0.232 -0.113 0.163
B -23.5584 -11.8735 16.0604 3.313 2.455 0.414
H -24.6097 -12.0761 15.9260 -4.921 -3.231 -0.463
H -23.0798 -12.3464 15.2169 0.467 -1.772 -4.722
H -23.4129 -10.8044 16.0570 1.441 3.858 0.025
H -23.2986 -12.2756 17.0275 -0.598 -1.162 4.331
C -25.1083 -9.7483 5.6222 -0.295 -0.897 -0.826
C -25.3925 -11.2293 5.9374 -0.222 0.598 -1.249
O -25.9196 -11.1591 7.1994 -0.771 -0.220 0.873
C -25.4865 -10.0220 7.7932 0.351 -0.700 5.146
O -25.5145 -9.8623 9.0256 -0.211 -0.106 -3.945
O -24.9164 -9.2451 6.9152 0.325 1.691 0.260
F -24.2323 -11.9095 5.9839 0.983 -0.653 0.026
H -25.9889 -9.3003 5.1618 0.090 0.201 -0.058
H -24.2028 -9.5629 5.0445 -0.200 -0.207 -0.018
H -26.0738 -11.7853 5.2934 -0.023 0.289 -0.085
C -29.9720 -6.0482 17.6705 1.066 0.275 0.534
C -30.7944 -6.9771 16.8807 0.231 -0.546 -2.816
O -29.8923 -7.4367 15.8567 1.831 0.097 0.572
C -28.5574 -7.1525 16.2578 -0.546 -3.055 0.358
O -27.5601 -7.6762 15.8094 -1.922 1.615 0.110
O -28.6235 -6.5333 17.4386 0.103 0.692 0.546
F -31.7394 -6.3256 16.1736 -0.992 0.463 0.222
H -30.2950 -6.1319 18.7082 0.770 0.409 0.123
H -29.9556 -5.0353 17.2682 -0.666 0.005 0.252
H -31.2676 -7.8184 17.3871 0.194 -0.025 0.060
C -24.4157 -17.2516 8.9105 -1.440 -0.593 0.382
C -25.5008 -17.8072 9.8519 -0.724 1.726 0.852
O -25.6604 -16.7496 10.8069 -0.360 0.145 -0.098
C -24.7717 -15.7912 10.5862 -0.054 4.471 2.028
O -24.7991 -14.6595 11.1204 0.282 -4.033 -1.592
O -23.8605 -16.1719 9.6927 0.289 -0.602 -1.404
F -25.1002 -18.8538 10.5364 0.839 -1.857 0.683
H -24.9538 -16.9268 8.0199 0.459 0.639 -0.106
H -23.7325 -18.0509 8.6233 0.406 0.447 0.374
H -26.5437 -17.9657 9.5772 0.322 -0.271 -1.054
C -18.6746 -5.3888 14.1674 -1.338 0.385 -0.048
C -18.9985 -6.0104 15.5287 1.394 -0.508 -0.754
O -20.1400 -6.8182 15.2996 0.366 0.126 0.081
C -20.7426 -6.4226 14.1628 -0.817 1.838 -1.845
O -21.8105 -6.7363 13.7198 0.908 -0.604 1.038
O -20.0073 -5.4451 13.5084 1.706 -0.882 1.179
F -19.2409 -5.1057 16.4917 -0.582 0.531 0.198
H -17.8769 -5.8954 13.6243 -0.547 -0.717 -0.187
H -18.2738 -4.3772 14.2320 -0.758 0.240 0.231
H -18.1430 -6.5895 15.8764 -0.386 -0.495 0.110
C -31.3809 -14.0531 10.4909 1.130 -0.930 -0.236
C -32.1098 -13.9473 11.7863 0.125 0.298 1.184
O -31.2821 -13.0157 12.5317 -1.558 -0.599 0.515
C -30.0956 -12.8241 11.9487 3.801 1.928 1.921
O -29.0940 -12.2693 12.5445 -4.994 -2.803 -3.493
O -30.1741 -13.3131 10.6878 1.051 1.202 0.208
F -32.1124 -15.1490 12.4382 0.596 -0.294 0.232
H -31.9384 -13.7889 9.5923 0.268 0.391 0.169
H -30.9800 -15.0641 10.4190 -0.676 -0.294 -0.327
H -33.1801 -13.7410 11.7866 0.333 1.139 -0.136
C -17.9176 -12.3280 9.1730 0.896 -0.414 0.042
C -18.2612 -11.0353 8.4244 -0.920 -1.770 1.478
O -19.4312 -10.6549 9.1246 0.590 2.122 -1.150
C -19.6569 -11.3853 10.1982 -2.721 -0.464 1.218
- - -
The piece goes on >

@erayann - How long did it take to hear back from Marymount Manhattan?

Just verifying @lovetoact, accepted students or students that have already committed?

@MTMama accepted. I’m absolutely sure that there will be a smaller group for those who have committed as well, but this one is specifically called ‘Accepted Students.’ The current students who are admins started it to help the accepted kids with their decision-making.

@lovetoact love this! Thanks :slight_smile: